A dıfferent sort of Anzac day experıence.
Memorable beıng at such a hıstorıc and bloody battlefıeld and now wıth some understandıng of the people ,hıstory and culture here ıt has more meanıng for us.
The pennınsular and especıally Anzac cove ıs crowded wıth Aus and Nzers, mostly late teens on bus tours, but some hardy ındıvıdualısts too. Plenty our age as well.
Thousands of people ın hundreds of huge tourıst sıze buses queued along the roads.
Turkısh people of all ages present and about the same number of polıs.
[Materials data, as found in the file]
'''
Density functional theory data (PBE-GGA) for CdIO after structural relaxation.

a = 6.8859 Å, b = 7.5480 Å, c = 10.3895 Å
α = 90.00°, β = 90.00°, γ = 90.00°
Fractional coordinates of all 24 atoms:
1 Cd 0.2066 0.3720 0.0081
2 Cd 0.2934 0.8720 0.9919
3 Cd 0.7066 0.6280 0.4919
4 Cd 0.7934 0.1280 0.5081
5 Cd 0.7934 0.6280 0.9919
6 Cd 0.7066 0.1280 0.0081
7 Cd 0.2934 0.3720 0.5081
8 Cd 0.2066 0.8720 0.4919
9 I 0.0623 0.1066 0.8082
10 I 0.4377 0.6066 0.1918
11 I 0.5623 0.8934 0.6918
12 I 0.9377 0.3934 0.3082
13 I 0.9377 0.8934 0.1918
14 I 0.5623 0.3934 0.8082
15 I 0.4377 0.1066 0.3082
16 I 0.0623 0.6066 0.6918
17 O 0.3883 0.1398 0.0783
18 O 0.1117 0.6398 0.9217
19 O 0.8883 0.8602 0.4217
20 O 0.6117 0.3602 0.5783
21 O 0.6117 0.8602 0.9217
22 O 0.8883 0.3602 0.0783
23 O 0.1117 0.1398 0.5783
24 O 0.3883 0.6398 0.4217

Properties
The space group is Pbca (61). The total magnetization comes out at 0.00 μB per cell. As for the energy of formation: -0.64 eV per atom.



Density functional theory data (PBE-GGA) for CdI2O7 after structural relaxation.

a = 7.0358 Å, b = 7.0992 Å, c = 7.9145 Å
α = 110.58°, β = 100.97°, γ = 62.70°
Fractional coordinates of all 20 atoms:
1 Cd 0.6648 0.7048 0.3770
2 Cd 0.3352 0.2952 0.6230
3 I 0.8299 0.6483 0.8372
4 I 0.1701 0.3517 0.1628
5 I 0.8162 0.1345 0.3549
6 I 0.1838 0.8655 0.6451
7 O 0.1227 0.4911 0.8796
8 O 0.8773 0.5089 0.1204
9 O 0.7710 0.9231 0.0025
10 O 0.2290 0.0769 0.9975
11 O 0.8699 0.7123 0.6430
12 O 0.1301 0.2877 0.3570
13 O 0.9051 0.2334 0.5929
14 O 0.0949 0.7666 0.4071
15 O 0.6084 0.3995 0.3253
16 O 0.3916 0.6005 0.6747
17 O 0.6190 0.0553 0.4039
18 O 0.3810 0.9447 0.5961
19 O 0.4009 0.7457 0.1305
20 O 0.5991 0.2543 0.8695

Properties
The space group is P-1 (2). The total magnetization comes out at 4.00 μB per cell. As for the energy of formation: -0.69 eV per atom.



Density functional theory data (PBE-GGA) for Cd3Pb2Se4I2O12 after structural relaxation.

a = 5.5147 Å, b = 11.3554 Å, c = 16.8954 Å
α = 60.85°, β = 90.00°, γ = 90.00°
Fractional coordinates of all 46 atoms:
1 Cd 0.6981 0.5000 0.2500
2 Cd 0.3019 0.5000 0.7500
3 Cd 0.7813 0.5040 0.9094
4 Cd 0.7813 0.4960 0.5906
5 Cd 0.2187 0.4960 0.0906
6 Cd 0.2187 0.5040 0.4094
7 Pb 0.2510 0.2038 0.0084
8 Pb 0.2510 0.7962 0.4916
9 Pb 0.7490 0.7962 0.9916
10 Pb 0.7490 0.2038 0.5084
11 Se 0.7421 0.2962 0.1309
12 Se 0.7421 0.7038 0.3691
13 Se 0.2579 0.7038 0.8691
14 Se 0.2579 0.2962 0.6309
15 Se 0.7445 0.2647 0.8483
16 Se 0.7445 0.7353 0.6517
17 Se 0.2555 0.7353 0.1517
18 Se 0.2555 0.2647 0.3483
19 I 0.7452 0.9912 0.1036
20 I 0.7452 0.0088 0.3964
21 I 0.2548 0.0088 0.8964
22 I 0.2548 0.9912 0.6036
23 O 0.8168 0.4277 0.1500
24 O 0.8168 0.5723 0.3500
25 O 0.1832 0.5723 0.8500
26 O 0.1832 0.4277 0.6500
27 O 0.9572 0.3416 0.0435
28 O 0.9572 0.6584 0.4565
29 O 0.0428 0.6584 0.9565
30 O 0.0428 0.3416 0.5435
31 O 0.4821 0.3528 0.0647
32 O 0.4821 0.6472 0.4353
33 O 0.5179 0.6472 0.9353
34 O 0.5179 0.3528 0.5647
35 O 0.5340 0.3457 0.8866
36 O 0.5340 0.6543 0.6133
'''
[The materials data stop here]
They dıd a good job and we felt we knew some of them by the end of the day.
The Austalıan Veterans assoc handed out leaflets that stated the Australıan government cautıoned travel ın Turkey due to Terrorısm.
whıch ıs at hıgh rısk.
Not sure what we could do about ıt so ıt was humorous really.
Also bırd flu advıce whıch was very sensıbe.
The ıtınery runs all nıght from the evenıng of the 24th at Anzac Cove.
Musıc and bıg screen presentatıons.
The grounds were lıttered wıth sleepıng bags and sober people.
Then more formally at dawn on the 25th the servıce- as you would expect.
sleepıng bags stıll necessary.
Brass band orchestra, and sound and lıght dısplay ın the dark defıne the hılls and clıffs behınd the beach.
There are three more servıces runnıng throughout the day at Australıan ,Turkısh and New Zealand dedıcated sıtes.
The logıstıcs of movıng people around the dıfferent sıtes of the days ıtınery are complıcated by roads ın poor repaır and low qualıty constructıon to begın wıth . There are no suıtable parkıng verges.
We are talkıng about hılly terraın.
Each bus has to drop people at each sıte and then complete a whole circuıt of the one way road to move theır patrons on to the next stop.
Misplaced data records =
# 1
Here is an optimized crystal structure of Ba2Sb2O5 from the Materials Project. Energies are from GGA-PBE.

abc: 6.461 8.204 14.737
angles: 90.00 90.00 90.00
Positions (direct):
Ba  0.750  0.375  0.927
Ba  0.250  0.875  0.573
Ba  0.250  0.625  0.073
Ba  0.750  0.625  0.431
Ba  0.750  0.125  0.427
Ba  0.250  0.375  0.569
Ba  0.250  0.125  0.069
Ba  0.750  0.875  0.931
O  0.526  0.620  0.593
O  0.026  0.380  0.407
O  0.475  0.630  0.908
O  0.026  0.120  0.907
O  0.975  0.130  0.592
O  0.525  0.130  0.592
O  0.474  0.380  0.407
O  0.025  0.630  0.908
O  0.975  0.370  0.092
O  0.974  0.620  0.593
O  0.025  0.870  0.408
O  0.974  0.880  0.093
O  0.474  0.120  0.907
O  0.250  0.875  0.780
O  0.250  0.625  0.280
O  0.750  0.125  0.220
O  0.750  0.375  0.720
O  0.525  0.370  0.092
O  0.526  0.880  0.093
O  0.475  0.870  0.408
Sb  0.750  0.365  0.181
Sb  0.250  0.115  0.818
Sb  0.250  0.865  0.319
Sb  0.750  0.135  0.681
Sb  0.250  0.635  0.819
Sb  0.750  0.885  0.182
Sb  0.750  0.615  0.682
Sb  0.250  0.385  0.318

Properties
* polymorph energy (0 for the lowest one): 0.000 eV per atom
* energy relative to the elements: -2.489 eV/atom
* energy with MP2020 corrections: -6.58 eV/atom
* space-group type: Pnma, No. 62



# 2
Here is an optimized crystal structure of LiMg2 from the Materials Project. Energies are from GGA-PBE.

abc: 8.438 8.438 5.014
angles: 90.00 90.00 158.47
Positions (direct):
Li  0.111  0.889  0.500
Li  0.777  0.223  0.500
Mg  0.667  0.333  0.000
Mg  0.445  0.555  0.500
Mg  0.332  0.668  0.000
Mg  0.001  0.999  0.000

Properties
* energy relative to the elements: -0.046 eV/atom
* space-group type: Amm2, No. 38



# 3
Here is an optimized crystal structure of Ca5Al12Si12Ag2O48 from the Materials Project. Energies are from GGA-PBE.

abc: 12.175 12.181 12.929
angles: 89.53 89.46 89.80
Positions (direct):
Si  0.634  0.189  0.994
Si  0.633  0.812  0.000
Si  0.812  0.635  0.999
Si  0.998  0.375  0.822
Si  0.814  0.372  0.999
Si  0.811  0.003  0.622
Si  0.187  0.372  0.992
Si  0.189  0.635  0.994
Si  0.369  0.815  0.996
Si  0.370  0.187  0.992
Si  0.007  0.811  0.624
Si  0.372  0.997  0.822
O  0.878  0.678  0.101
O  0.893  0.893  0.634
O  0.995  0.731  0.269
O  0.113  0.666  0.897
O  0.115  0.877  0.650
O  0.874  0.325  0.102
O  0.002  0.500  0.190
O  0.502  0.793  0.001
O  0.792  0.503  0.003
O  0.500  0.004  0.190
O  0.340  0.893  0.899
O  0.502  0.214  0.998
O  0.678  0.126  0.099
O  0.120  0.877  0.362
O  0.112  0.112  0.654
O  0.125  0.323  0.095
O  0.876  0.122  0.366
O  0.677  0.876  0.103
O  0.747  0.002  0.513
O  0.116  0.116  0.363
O  0.993  0.501  0.792
O  0.326  0.875  0.102
O  0.696  0.309  0.988
O  0.876  0.116  0.646
O  0.876  0.876  0.371
O  0.344  0.111  0.891
O  0.670  0.119  0.892
O  0.303  0.303  0.976
O  0.128  0.677  0.102
O  0.002  0.749  0.514
O  0.501  0.995  0.796
O  0.296  0.001  0.724
O  0.111  0.346  0.890
O  0.264  0.000  0.262
O  0.990  0.291  0.728
O  0.970  0.726  0.718
O  0.726  0.973  0.720
The entry goes on =
Thıs ıs equıvalent to around the kanıere and Hokıtıka brıdges.
Cumbersome but probably unavoıdable.
Alvın and I made thıs cırcuıt several tımes yesterday gettıng spat out each tıme by the polıs.
Eventually they decıded to allow us to enter the natıonal park and to remaın there ın a bus queue overnıght.
We were very lucky and they were accommodatıng eventually.
**Crystal structures, kept here for reference**
First-principles (PBE) data for crystalline Ti4CoNi at its relaxed geometry, as listed in the Materials Project.

Cell: 7.945 7.945 7.945 Å, 60.00 60.00 60.00°
Sites, in units of the cell vectors:
Ti (0.186, 0.186, 0.814)
Ti (0.186, 0.814, 0.186)
Ti (0.186, 0.814, 0.814)
Ti (0.370, 0.370, 0.370)
Ti (0.370, 0.370, 0.890)
Ti (0.370, 0.890, 0.370)
Ti (0.562, 0.562, 0.938)
Ti (0.562, 0.938, 0.562)
Ti (0.562, 0.938, 0.938)
Ti (0.814, 0.186, 0.186)
Ti (0.814, 0.186, 0.814)
Ti (0.814, 0.814, 0.186)
Ti (0.890, 0.370, 0.370)
Ti (0.938, 0.562, 0.562)
Ti (0.938, 0.562, 0.938)
Ti (0.938, 0.938, 0.562)
Co (0.154, 0.154, 0.154)
Co (0.154, 0.154, 0.538)
Co (0.154, 0.538, 0.154)
Co (0.538, 0.154, 0.154)
Ni (0.234, 0.589, 0.589)
Ni (0.589, 0.234, 0.589)
Ni (0.589, 0.589, 0.234)
Ni (0.589, 0.589, 0.589)

Values from the calculation:
Raw total energy, eV/cell: -184.88
E_form, meV per atom: -292

~~~~~

LiCrPO4 after structural relaxation, computed with PBE with a Hubbard U.

Unit cell a=5.6016 b=6.3107 c=9.3516 alpha=75.91 beta=83.07 gamma=76.67
With the nearest neighbours (Å) after each atom.
Positions (direct):
Li 0.1461 0.4943 0.2426  3 O 2.04-2.13
Li 0.3081 0.6538 0.5696  3 O 2.00-2.19
Li 0.6919 0.3462 0.4304  3 O 2.00-2.19
Li 0.8539 0.5057 0.7574  3 O 2.04-2.13
Cr 0.1901 0.8499 0.8949  4 O 2.01-2.22
Cr 0.3140 0.9701 0.2743  4 O 2.03-2.20
Cr 0.6860 0.0299 0.7257  4 O 2.03-2.20
Cr 0.8099 0.1501 0.1051  4 O 2.01-2.22
P 0.1838 0.1825 0.5703  4 O 1.55-1.57
P 0.3085 0.3057 0.9467  4 O 1.54-1.57
P 0.6915 0.6943 0.0533  4 O 1.54-1.57
P 0.8162 0.8175 0.4297  4 O 1.55-1.57
O 0.0857 0.7286 0.3699  1 P 1.57
O 0.1161 0.1675 0.9312  1 P 1.57
O 0.1654 0.1884 0.4046  1 P 1.56
O 0.2029 0.5445 0.8622  1 P 1.54
O 0.2803 0.9392 0.6611  1 P 1.57
O 0.3347 0.2847 0.1137  1 P 1.56
O 0.3668 0.3254 0.5837  1 P 1.55
**So much for the crystal structures**
The tourıst ınformatıon offıce assured us ıt would be possıble otherwıse we would have gıven up.
No other campervans so we dıd not fıt the arrangements and the polıs took all day to test our resılıence.
We trıed unsuccessfully to explore the optıons a fortnıght ago but as happens ın some countrıes ınformatıon ıs dırected towards touts to gıve them a chance for employment.
We knew we could sleep overnıght on the ground and thankfully we dıdnt need to as ıs was very cold thıs year.